# Wanted
Your job: say how many lines of the contents below hold the word "DFT", as a bare number.

# Entries
-- begin --
The following is a DFT calculation (ωB97M-V/def2-TZVPD) of a molecular structure, C20H26ORuS5.

Calculated values
HOMO level (spin up / spin down) in eV: -16.98 / -16.98
Total charge: +3
Multiplicity: 6
Max |F| in eV Å⁻¹: 0.3
E in Ha: -2937.7050

Each line ends with the Mulliken spin population.
Geometry (Å):
1 Ru -0.005 -0.043 -0.103  3.76
2 C -0.899 -3.312 -0.669  0.01
3 C 0.617 -3.352 -0.761  0.00
4 S 1.400 -2.154 0.380  0.21
5 C 2.887 -1.680 -0.572  0.00
6 C 3.477 -0.373 -0.066  0.01
7 S 2.351 1.060 -0.054  0.19
8 C 2.448 1.823 -1.701  0.01
9 C 1.790 1.063 -2.841  0.00
10 S 0.004 0.803 -2.544  0.21
11 C -0.252 -0.823 -3.343  0.01
12 C -1.535 -1.484 -2.866  0.01
13 S -1.698 -1.724 -1.066  0.17
14 H -1.245 -3.523 0.345  0.00
15 H -1.339 -4.069 -1.320  0.01
16 H 0.979 -3.152 -1.768  -0.01
17 H 0.966 -4.343 -0.466  0.01
18 H 2.616 -1.630 -1.626  0.00
19 H 3.617 -2.481 -0.443  0.01
20 H 4.353 -0.101 -0.658  0.00
21 H 3.802 -0.461 0.972  0.00
22 H 3.502 1.996 -1.922  0.01
23 H 1.987 2.802 -1.556  0.00
24 H 2.251 0.092 -3.015  0.00
25 H 1.876 1.648 -3.758  0.01
26 H 0.627 -1.437 -3.151  0.00
27 H -0.317 -0.644 -4.418  0.01
28 H -1.653 -2.460 -3.340  0.00
29 H -2.410 -0.889 -3.130  0.00
30 O -0.828 0.947 1.369  0.29
31 S -0.685 2.373 2.079  0.04
32 C -1.923 3.345 1.279  0.03
33 C -1.737 4.719 1.340  0.00
34 C -2.708 5.539 0.782  0.00
35 C -3.824 4.981 0.174  0.00
36 C -3.980 3.601 0.106  0.00
37 C -3.025 2.763 0.663  -0.01
38 C -1.266 2.106 3.700  0.01
39 C -2.481 1.465 3.939  0.00
40 C -2.885 1.318 5.251  0.00
41 C -2.096 1.816 6.289  0.00
42 C -0.889 2.447 6.029  0.00
43 C -0.453 2.590 4.719  0.00
44 H -0.868 5.148 1.826  0.00
45 H -2.586 6.612 0.817  0.00
46 H -4.586 5.626 -0.242  0.00
47 H -4.854 3.179 -0.370  0.00
48 H -3.151 1.689 0.638  0.00
49 H -3.101 1.107 3.128  0.00
50 H -3.822 0.825 5.472  0.00
51 H -2.437 1.717 7.310  0.00
52 H -0.279 2.816 6.841  0.00
53 H 0.489 3.078 4.501  0.00
-- stop --

# Worked solution
1